Unintelligent Christianity

There are two dangerous cultural memes we must be mindful of in Christendom. We must be wary of a prejudicial spirit, and we must be wary of a lack of diligent approach to scriptures. A prejudicial spirit cannot preach the gospel of love and compassion. A bigoted spirit cannot preach reconciliation. When our understanding of righteousness is mixed up we arrive at this sorry pass. It often manifests in legalism.

A legalistic mindset is merciless, vindictive and lacking in compassion. It will afflict a wounded soul. In the story of the Good Samaritan we see the juxtaposition of the spirit of Jesus and religiosity. The religious folk are high on religious observance but lacking in essential compassion. They refused to help a critically injured man, distancing themselves from his suffering and affliction. Till today, the religious distance themselves from afflicted souls and those wounded by the dynamics of life. Instead of binding up the brokenhearted they judge, malign, contemn and manoeuvre avoidance.

The spirit of Jesus is antithetical to the religiosity and pompous hypocrisy of pharisaism. Religiosity is pride masquerading as righteousness. And religiosity obfuscates self-introspection. Pride, the Bible says, “makes one overestimate himself and underestimate others.” Proverbs 6:16 (AMP). We are prone to forgetfulness of the classic fact that our righteousness is a gift. It was never earned. Were we to remind ourselves of that simple fact, none of us will be condemnatory towards others. And the vitriol of condemnation can be alarming. Comes with a tinge of wickedness and envy

Truth is, when we condemn others, we are reflecting our personal struggles with sin, compensating with decibels. A condemnatory spirit is a reflection of the fallen nature of man. Adam condemned God for his own failings. The practice of seeking to regulate the lives of others ignores a vital biblical injunction: 1 Thessalonians 4:11 says, Mind your own business. God never advertised the position of Assistant Bishop of Souls, yet some insist on serving in that capacity. They measure the quality of righteousness of others by how far they conform to their cultural sensibilities. Truth is, were Jesus on earth today some Christians will condemn him. They will definitely condemn their Saviour for not ordering the death of the woman caught in adultery. They will condemn their Saviour for allowing a sinful woman to perfume his feet and wipe them with her hair. They will definitely condemn their Savior for attending parties, and taking wine. Two sins! That Jesus turned water into wine will of course be sacrilegious. They would have sent him to the cross much earlier. Oh, they will condemn Jesus for hobnobbing with the rich and powerful, for granting them audience. Clearly there is something askew in our understanding. We don’t seem to get it! Jesus was telling us something: It’s okay to be cool, connected, intelligent and cosmopolitan. But let God be your CORE.

The other issue of concern is our lazy attitude towards scripture study. That prejudicial disposition is epiphenomenally tied to our lack of appreciation of the spirit of the New Testament. The spirit of the New Testament is not fire and brimstone. Jesus said so. “The Son of Man did not come to destroy men’s lives,” Jesus said in Luke 9:55. You can’t interpret scriptures outside the spirit of the New Testament. And you can’t conduct yourself outside of it. The Bible encourages us to STUDY scriptures, not just read it. It’s how we prove ourselves. “Study and be eager and do your utmost to present yourself to God approved, a workman who has no cause to be ashamed correctly analyzing and accurately dividing, rightly handling and skillfully teaching the Word of Truth” 2 Timothy 2:15 (AMP). It means scriptures need analysis, dissection and deconstruction.

You need skill to handle the word of God. Paul warns against nitpicking scriptures in 2 Timothy 2:14. Called it “pious nitpicking”. Nitpicking makes us quote scriptures out of context, and some do so recklessly. The devil thrives in misquotation of scriptures. He invented the trick at the temptation of Jesus. In what should be a warning to non-contextualisers, Satan gave nefarious commands to Jesus, misquoting scriptures. The devil quotes scriptures. He’s literate! He’s also an intellectual by the way! He studies scriptures. He quotes scriptures out of context to get people to do HIS will thinking they’re doing God’s will. He told Jesus to jump off the temple quoting Psalm 91:11-12. Satan reads the Bible. It’s a book!

That the devil quoted Psalms also tells us he’s interested in history. The Psalms were written over a 1000-year period. Psalm 90 is probably the oldest Psalm. Its authorship is attributed to Moses. Psalm 137 was clearly written at the time of Babylonian captivity, 586-538 BC. So the devil is interested in history. That includes your personal history. It’s why he can tell you your past. But Jesus responded to the devil’s Bible misquote by quoting correspondent balancing scriptures. It is this lack of correspondent balance that leads to legalism and ideological approach to scriptures. When you read scriptures, ask yourself what is God’s intension? You’ve got to know the MIND of God concerning issues. It is why we need the Holy Spirit when we read scriptures. He knows the mind of God. (1 Corinthians 2:10-12).

When Jesus said, if your hand causes you to sin cut it off, his intension cannot be to create amputees! (Matthew 5:30). A similar command about the plucking out of eyes cannot signify God’s intension to multiply blindness! The correspondent balance is that Jesus went about doing good, and healing the lame and the blind! How can the healer of the blind and the lame then be instigating amputation and blindness?!

Unrelated to this entry: data records:
........
(1)
DFT (GGA-PBE) results for a geometry-optimized Cs2Cu3SnF12 structure.

Density: 4.23 g cm⁻³
Total magnetization: 3.00 Bohr magnetons per cell
Formation energy from the elements: -43.81 eV per formula unit
Offset from the most stable computed form: 9 meV per atom
Electronic total energy: -4.408 eV per atom
Space-group type: R-3m, No. 166

POSCAR file:
```
Cs2Cu3SnF12
1.0
3.605 2.082 6.996
-3.605 2.082 6.996
0.000 -4.163 6.996
Cs Cu Sn F
2 3 1 12
Cartesian
0.000 0.000 2.234
0.000 0.000 18.754
-1.803 -1.041 6.996
-1.803 1.041 13.993
0.000 2.082 6.996
0.000 0.000 10.494
-1.443 -0.833 9.374
0.000 -1.642 6.676
-1.422 0.821 6.676
-1.422 -0.821 14.313
0.000 -1.667 11.614
-1.443 0.833 11.614
1.443 -0.833 9.374
0.000 1.667 9.374
1.422 0.821 6.676
1.422 -0.821 14.313
0.000 1.642 14.313
1.443 0.833 11.614
```

=====

(2)
DFT (GGA-PBE) results for a geometry-optimized Cd4P2I3 structure.

Density: 5.41 g cm⁻³
Total magnetization: 0.00 Bohr magnetons per cell
Formation energy from the elements: -4.14 eV per formula unit
Electronic total energy: -2.455 eV per atom
Space-group type: Pbca, No. 61

POSCAR file:
```
Cd4P2I3
1.0
12.824 0.000 0.000
0.000 13.220 0.000
0.000 0.000 12.928
Cd P I
32 16 24
Cartesian
0.545 2.829 0.917
0.545 3.781 7.381
1.116 0.804 10.233
1.116 5.806 3.769
1.213 6.839 12.038
1.213 12.990 5.574
2.597 7.814 7.450
2.597 12.015 0.986
3.815 1.204 7.450
3.815 5.406 0.986
5.199 0.229 12.038
5.199 6.381 5.574
5.295 7.414 10.233
5.295 12.416 3.769
5.867 9.439 0.917
5.867 10.391 7.381
6.956 2.829 5.547
6.956 3.781 12.011
7.528 0.804 9.158
7.528 5.806 2.694
7.625 6.839 7.353
7.625 12.990 0.890
9.009 7.814 11.942
9.009 12.015 5.478
10.226 1.204 11.942
10.226 5.406 5.478
11.610 0.229 7.353
11.610 6.381 0.890
11.707 7.414 9.158
11.707 12.416 2.694
12.279 9.439 5.547
12.279 10.391 12.011
0.670 7.225 5.848
0.670 12.604 12.312
1.229 1.364 7.729
1.229 5.246 1.265
5.183 7.974 7.729
5.183 11.855 1.265
5.742 0.615 5.848
5.742 5.994 12.312
7.081 7.225 0.616
7.081 12.604 7.080
7.641 1.364 11.662
7.641 5.246 5.199
11.594 7.974 11.662
11.594 11.855 5.199
12.154 0.615 0.616
12.154 5.994 7.080
0.792 9.824 8.727
0.792 10.005 2.263
2.339 0.971 3.195
2.339 5.639 9.659
3.180 8.974 12.028
3.180 10.856 5.564
3.232 2.364 12.028
3.232 4.246 5.564
4.073 7.581 3.195
4.073 12.249 9.659
5.620 3.214 8.727
5.620 3.396 2.263
7.204 9.824 10.664
7.204 10.005 4.200
8.751 0.971 3.269
8.751 5.639 9.733
9.592 8.974 7.363
9.592 10.856 0.899
9.644 2.364 7.363
9.644 4.246 0.899
10.485 7.581 3.269
10.485 12.249 9.733
12.032 3.214 10.664
12.032 3.396 4.200
```

=====

(3)
DFT (GGA-PBE) results for a geometry-optimized NbCr4Si structure.

Density: 6.95 g cm⁻³
Total magnetization: 0.09 Bohr magnetons per cell
Formation energy from the elements: 0.33 eV per formula unit
Electronic total energy: -8.980 eV per atom
Space-group type: P-3m1, No. 164

POSCAR file:
```
NbCr4Si
1.0
4.872 0.000 0.000
-2.436 4.220 0.000
0.000 0.000 7.649
Nb Cr Si
2 8 2
Cartesian
0.000 2.813 3.309
2.436 1.407 4.340
........

Then there is context. Context is very important in interpreting scriptures. How would you like someone to isolate a statement from your letter and begin to quote you out of context? You can’t just take a statement from Paul’s letter out of context either. Or any other scripture. When Paul says, “Concerning those things you wrote me about…” in 1 Corinthians 7:1, he’s giving you context.

Then there is the rule of syllogism in interpretation of scriptures. When we see the word, “Therefore” we know it’s the conclusion of an argument. For example, Romans 8 begins with, “Therefore…” That means we must read Romans 7! (The Book of Romans is a book every Christian MUST read, whether you’re from Rome or Nigeria)!

Part of the problem is a lack of understanding of FUNDAMENTAL DOCTRINES of Christ, especially salvation by grace. The Bible CANNOT contradict itself. We must interpret scriptures in accordance with fundamental truth. Without a grounding in the fundamentals of Christianity you will always be prone to error.

Misplaced calculated crystals:
+++
No. 1
Entry from Materials Project: ZrMn2H12O6F8 after structural relaxation (PBE+U).

Structure (extended XYZ):
```
58
Lattice="4.107 5.654 0.000 -4.107 5.654 0.000 0.000 4.628 11.678" Properties=species:S:1:pos:R:3 pbc="T T T"
H 3.305 7.959 4.146
H -1.858 8.537 10.220
H 1.502 12.806 10.358
H 1.858 6.222 4.381
H -0.649 13.161 11.054
H 1.502 5.444 7.159
H 0.192 8.745 11.526
H 1.858 7.400 1.458
H -2.499 7.605 6.213
H -0.649 5.090 6.463
H 2.499 5.290 0.374
H -0.192 7.191 0.151
H 3.305 5.663 1.693
H 0.649 2.775 0.624
H -2.499 10.646 11.304
H -1.858 9.714 7.297
H -0.192 6.431 5.687
H -3.305 7.977 7.532
H -1.502 3.130 1.320
H -3.305 10.273 9.985
H 0.192 9.505 5.990
H 0.649 10.847 5.215
H -1.502 10.492 4.519
H 2.499 8.332 5.465
Zr 1.914 9.125 8.758
Zr -1.914 6.811 2.919
F 0.246 8.682 7.483
F 0.561 2.552 3.198
F -1.206 8.790 2.486
F -0.561 4.866 9.037
F -2.629 7.046 0.919
F 1.206 7.146 9.192
F -0.246 6.368 1.644
F -0.561 13.384 8.480
F 2.629 9.360 6.758
F 0.561 11.070 2.641
F 2.629 8.890 10.759
F -0.246 7.254 4.195
F 0.246 9.568 10.034
F 1.206 11.104 8.325
F -1.206 4.832 3.353
F -2.629 6.576 4.920
O -2.417 8.065 7.094
O -0.164 5.960 6.564
O -2.417 10.186 10.423
O 0.164 9.976 5.114
O 2.417 5.751 1.255
O 0.164 3.646 0.725
O 1.758 8.371 1.630
O -1.758 10.685 7.469
O -0.164 12.290 10.952
O -1.758 7.565 10.048
O 1.758 5.251 4.209
O 2.417 7.871 4.584
Mn -0.909 11.371 9.228
Mn -0.909 6.879 8.288
Mn 0.909 4.565 2.450
Mn 0.909 9.057 3.389
```

Results
Calculated total energy, eV for the cell shown: -324.25
Space group: No. 15

No. 2
Entry from Materials Project: Li2V3CrO8 after structural relaxation (PBE+U).

Structure (extended XYZ):
```
14
Lattice="-1.661 5.610 -0.022 -5.281 -1.573 2.435 3.618 4.131 2.488" Properties=species:S:1:pos:R:3 pbc="T T T"
V -0.830 2.805 -0.011
V -0.831 1.279 2.461
V -1.661 4.084 2.450
O -1.800 7.080 4.283
O -0.921 5.833 1.789
O -0.981 4.292 4.288
O -1.523 1.088 0.617
O -3.243 5.140 3.104
O -0.080 3.028 1.796
O -2.402 2.335 3.111
O -2.342 3.876 0.612
Cr -1.661 5.610 -0.022
Li 0.979 4.871 1.233
Li 1.809 2.066 1.244
```

Results
ΔE to the lowest computed polymorph, eV/atom: 0.109
Space group: No. 2

No. 3
Entry from Materials Project: Na5Ni9O18 after structural relaxation (PBE+U).

Structure (extended XYZ):
```
32
Lattice="5.738 0.000 0.000 -0.709 7.445 0.000 -2.298 -1.796 8.083" Properties=species:S:1:pos:R:3 pbc="T T T"
Ni 0.602 -0.442 7.605
Ni 0.620 4.896 5.866
Ni 1.345 5.508 3.169
Ni 0.636 2.221 6.738
Ni 2.112 0.754 2.217
Ni 2.130 6.091 0.478
Ni 1.387 0.141 4.914
Ni 2.095 3.428 1.345
Ni 1.366 2.825 4.041
O 2.772 5.103 1.975
O 0.551 3.868 2.708
O 1.441 1.799 0.598
O 2.181 1.782 5.375
O 1.290 3.850 7.485
O -0.054 6.001 4.282
O -0.041 0.546 6.107
O 3.575 0.326 0.937
O -0.050 3.128 5.237
O -0.844 5.323 7.145
O 2.037 -0.795 6.429
O 3.662 2.992 0.036
O 2.786 -0.352 3.801
O 2.037 4.485 4.563
O 0.695 1.165 3.520
O 2.782 2.521 2.846
O -0.931 2.657 8.047
O 0.695 6.444 1.653
Na 0.000 0.000 0.000
Na -2.224 0.960 7.065
Na 4.956 4.689 1.017
+++
The article goes on:

To interpret scriptures therefore, you must remember the following rules: The rule of intent, the rule of context, the rule of correspondent balance, the rule of syllogism, the rule of doctrine.

(Between two parts of the entry: records of crystals)
=====
The following is a DFT calculation (PBE) of an optimized crystal structure of Fe5NiN4.

Results
E_form = -19 meV per atom
crystal system = orthorhombic
total magnetization = 0.08 μB/f.u.
corrected total energy (MP2020 scheme) = -163.3 eV per cell
uncorrected energy = -8.022 eV per atom
density = 7.02 Mg/m³

a = 5.684 Å, b = 7.040 Å, c = 4.657 Å
α = 90.00°, β = 90.00°, γ = 90.00°
Space group Pmmn (No. 59, origin choice 2)
Unique sites:
Fe 0.012 0.059 0.248 (multiplicity 8)
Fe 0.250 0.750 0.212 (multiplicity 2)
Ni 0.250 0.250 0.752 (multiplicity 2)
N 0.017 0.750 0.493 (multiplicity 4)
N 0.250 0.524 0.988 (multiplicity 4)


# Ti4H5

Crystalline Ti4H5 at its relaxed geometry (r2SCAN, the Materials Project).

Lattice parameters (Å, degrees): 4.246 4.246 4.502 90.00 90.00 90.00
Space group P-42m (No. 111)
Asymmetric unit:
Ti1 0.244 0.244 0.246 (multiplicity 4)
H1 0.000 0.500 0.000 (multiplicity 2)
H2 0.000 0.500 0.500 (multiplicity 2)
H3 0.500 0.500 0.500 (multiplicity 1)

## Properties
Electronic total energy: -73.0 eV/f.u.
Calculated volume: 81.2 Å³/cell
Total magnetic moment: 0.0 μB per formula unit

# Sc2ZnIr

Crystalline Sc2ZnIr at its relaxed geometry (r2SCAN, the Materials Project).

Lattice parameters (Å, degrees): 6.529 6.529 6.529 90.00 90.00 90.00
Space group Fm-3m (No. 225)
Asymmetric unit:
Sc1 0.250 0.250 0.250 (multiplicity 8)
Zn1 0.000 0.000 0.000 (multiplicity 4)
Ir1 0.000 0.000 0.500 (multiplicity 4)

## Properties
Electronic total energy: -87.2 eV/f.u.
Calculated volume: 278.4 Å³/cell
Total magnetic moment: 0.0 μB per formula unit

# NdInPd2

Crystalline NdInPd2 at its relaxed geometry (r2SCAN, the Materials Project).

Lattice parameters (Å, degrees): 6.897 6.897 6.897 90.00 90.00 90.00
Space group Fm-3m (No. 225)
Asymmetric unit:
Nd1 0.000 0.000 0.000 (multiplicity 4)
In1 0.000 0.000 0.500 (multiplicity 4)
Pd1 0.250 0.250 0.250 (multiplicity 8)

## Properties
Electronic total energy: -101.0 eV/f.u.
Calculated volume: 328.0 Å³/cell
Total magnetic moment: 0.0 μB per formula unit

# SnBr4

Crystalline SnBr4 at its relaxed geometry (r2SCAN, the Materials Project).

Lattice parameters (Å, degrees): 10.591 7.134 10.722 90.00 102.36 90.00
Space group P2_1/c (No. 14)
Asymmetric unit:
Sn1 0.248 0.077 0.367 (multiplicity 4)
Br1 0.061 0.075 0.185 (multiplicity 4)
Br2 0.191 0.586 0.049 (multiplicity 4)
Br3 0.311 0.098 0.926 (multiplicity 4)
Br4 0.430 0.585 0.806 (multiplicity 4)

## Properties
Electronic total energy: -81.7 eV/f.u.
Calculated volume: 791.4 Å³/cell
Total magnetic moment: 0.0 μB per formula unit

# YbCd

Crystalline YbCd at its relaxed geometry (r2SCAN, the Materials Project).

Lattice parameters (Å, degrees): 3.653 3.653 3.653 90.00 90.00 90.00
Space group Pm-3m (No. 221)
Asymmetric unit:
Yb1 0.000 0.000 0.000 (multiplicity 1)
Cd1 0.500 0.500 0.500 (multiplicity 1)

## Properties
Electronic total energy: -57.4 eV/f.u.
Calculated volume: 48.8 Å³/cell
Total magnetic moment: 0.0 μB per formula unit

# Tb2Mo2O7
=====
(Here the entry continues)

© Leke Alder | talk2me@lekealder.com